Great earthquakes coming to Los Angles and New York...
Jesus - "There will be pestilence anew. There will be earthquakes in
many places. The present ones have been nothing compared to what will happen
next. There will be a great earthquake in the Los Angeles area, and also New
York. I told you this before, My children and My child, but I must repeat to
you: Many prayers are needed now, for the balance is most uneasy." (6-17-89)
There is a great split in the earth (U.S.) that is widening...
"There will be a great earthquake in the area of New York.... There is only one
thing that you can do with an errant child when they do not listen, and that is
to shake them up, My child. I realize this is not something for jest; it
is but a reality that is coming upon mankind. Another area that shall be shaken
will be California, My child. There is a great split in the earth that is
widening. This is not generally being given to you in your news tabloids. They
are trying to lull you to complacency. We have given you the road away
from these disasters; and that road is only guided by prayers, penance, and
atonement." - Our Lady, March 18, 1989
Tragedies and disasters shall increase . . .
Jesus - "Great elemental tragedies, disasters, manmade and God - sent
upon mankind, shall increase in volume, shall increase in intensity and numbers.
Remember, My children, you do not understand that supernatural, for there will
be accidents that are not accidents." (5-26-79)
The world shall be seized by tremors . . .
Michael - "Listen well, all mankind of earth.
You have received fair warning from the Queen of Heaven. You will listen, or
you will receive a just punishment.
"The world shall be seized by tremors, the firmament shall be aflame in
explosion, and all that is rotten shall fall!" (5-14-77)
Work to accelerate when tremors come . .
Jesus - "I assure you, My children, the work for Heaven will accelerate
when the tremors come to the earth. Be ye warned that houses will blow in the
wind. And if this does not bring man back to his senses, then skin shall dry up
on the bones and blow away as if it had never been! Many will see this, My
children, and still not believe that it is the hand of God upon man, because the
hearts of man have been hardened by sin; because sin has become a way of life
among you.” (6-18-77)
Hunger in America . . .
Our Lady - "My children in the United States of America,
must you go hungry? Many parts of your country shall suffer from want of food,
for the winter will be cold. Many shall die in the coming year, My children.
There will be accidents that are not accidents. Hunger shall be in the homes of
many." 12-7-78)
Calculated crystals, kept here for reference:
+++
La2SiSeO4: simulated X-ray diffraction stick pattern (Cu Kα), based on DFT lattice parameters and positions (GGA-PBE).
Peak positions follow from Bragg's law for the DFT cell and can differ from measured ones.

Most intense lines, 2θ = 10–90°, by angle:
Position (°2θ)	I/Imax
20.1	26
21.1	23
24.3	28
28.9	78
29.1	22
31.7	100
34.7	32
39.1	28
42.8	22
47.6	18
49.6	22
66.3	28

Structure:
Cell: 6.341 7.376 11.288 Å, 90.00 90.00 90.00°
Fractional coordinates of all 32 atoms:
1 La 0.109 0.250 0.000
2 La 0.109 0.250 0.500
3 La 0.372 0.538 0.250
4 La 0.372 0.962 0.750
5 La 0.628 0.038 0.250
6 La 0.628 0.462 0.750
7 La 0.891 0.750 0.000
8 La 0.891 0.750 0.500
9 Si 0.386 0.750 0.000
10 Si 0.386 0.750 0.500
11 Si 0.614 0.250 0.000
12 Si 0.614 0.250 0.500
13 Se 0.074 0.610 0.750
14 Se 0.074 0.890 0.250
15 Se 0.926 0.110 0.750
16 Se 0.926 0.390 0.250
17 O 0.231 0.578 0.032
18 O 0.231 0.578 0.468
19 O 0.231 0.922 0.532
20 O 0.231 0.922 0.968
21 O 0.455 0.232 0.616
22 O 0.455 0.232 0.884
23 O 0.455 0.268 0.116
24 O 0.455 0.268 0.384
25 O 0.545 0.732 0.616
26 O 0.545 0.732 0.884
27 O 0.545 0.768 0.116
28 O 0.545 0.768 0.384
29 O 0.769 0.078 0.032
30 O 0.769 0.078 0.468
31 O 0.769 0.422 0.532
32 O 0.769 0.422 0.968
+++
End of the calculated crystals:
Store canned goods, water and
blankets . . .
Our Lady - "My children, I caution you now,
and I wish that you remember these instructions from several years ago in
earth's time that I gave to you, to keep in your homes a good supply of canned
good. They have shelf value, My children, they will not spoil. But better that
you keep them and they spoil than to have come upon you the great Chastisement.
It will be a ball of fire which will ignite many of the chemicals that are being
stored up for the destruction of the nations.
"My children, not only with the canned foods will you store just food, but
you must also make known to your families and your friends that they had best
keep blankets and water in tight containers; for there will be on the onset of
the Chastisement, there will be nothing that you can buy due to contamination."
Earthquakes, famine, starvation. . .
~~~
This entry pairs a crystal structure of Tb4DyHo2Sc with its theoretical PXRD pattern. Radiation: Cu Kα, 1.54184 Å. Structure: a structure optimized by DFT (PBE).
Peak positions follow from Bragg's law for the DFT cell and can differ from measured ones.

Structural model:
a b c (Å): 4.9726 4.9726 9.9007
angles (deg): 90.00 90.00 90.00
Positions (direct):
Tb: 0.0000 0.5000 0.2450
Tb: 0.0000 0.5000 0.7550
Tb: 0.5000 0.0000 0.2450
Tb: 0.5000 0.0000 0.7550
Dy: 0.0000 0.0000 0.5000
Ho: 0.0000 0.0000 0.0000
Ho: 0.5000 0.5000 0.5000
Sc: 0.5000 0.5000 0.0000

Principal peaks in the range 10° ≤ 2θ ≤ 80°, in order of falling intensity:
31.2°, I 100; 36.1°, I 34; 61.9°, I 28; 52.1°, I 24; 36.3°, I 17; 62.1°, I 14; 65.1°, I 12; 52.0°, I 12; 76.7°, I 4; 20.0°, I 3

----------

Entry 1:
Diffraction record for SrMg4Hg5. The powder X-ray diffraction pattern is theoretical, not measured: it uses DFT lattice parameters and positions (GGA-PBE) and Cu Kα.

Main lines, low angle first (2θ = 5–70°):
Position (°2θ)  Rel. int.
24.40  78
25.40  24
34.77  70
35.51  100
39.52  15
43.56  24
50.00  25
56.39  17
62.82  39
63.72  13

Atomic structure:
a b c (Å): 3.648 3.648 17.530
angles (deg): 90.00 90.00 90.00
Space group P4/mmm (No. 123)
One atom of each set of equivalent atoms:
Sr 0.000 0.000 0.000 x1
Mg 0.000 0.000 0.219 x2
Mg 0.000 0.000 0.406 x2
Hg 0.500 0.500 0.125 x2
Hg 0.500 0.500 0.312 x2
Hg 0.500 0.500 0.500 x1

Entry 2:
Diffraction record for SrMg5Hg3. The powder X-ray diffraction pattern is theoretical, not measured: it uses DFT lattice parameters and positions (GGA-PBE) and Cu Kα.

Main lines, low angle first (2θ = 5–70°):
Position (°2θ)  Rel. int.
21.75  36
22.53  100
23.92  77
24.42  91
29.82  88
33.14  37
38.54  75
40.43  41
41.25  38
42.30  34

Atomic structure:
a b c (Å): 4.461 14.882 13.964
angles (deg): 90.00 90.00 90.00
Space group Cmcm (No. 63)
One atom of each set of equivalent atoms:
Sr 0.000 0.164 0.250 x4
Mg 0.000 0.000 0.000 x4
Mg 0.000 0.196 0.554 x8
Mg 0.000 0.437 0.143 x8
Hg 0.000 0.138 0.750 x4
Hg 0.000 0.384 0.565 x8

Repeat the second record exactly.
Diffraction record for SrMg5Hg3. The powder X-ray diffraction pattern is theoretical, not measured: it uses DFT lattice parameters and positions (GGA-PBE) and Cu Kα.

Main lines, low angle first (2θ = 5–70°):
Position (°2θ)  Rel. int.
21.75  36
22.53  100
23.92  77
24.42  91
29.82  88
33.14  37
38.54  75
40.43  41
41.25  38
42.30  34

Atomic structure:
a b c (Å): 4.461 14.882 13.964
angles (deg): 90.00 90.00 90.00
Space group Cmcm (No. 63)
One atom of each set of equivalent atoms:
Sr 0.000 0.164 0.250 x4
Mg 0.000 0.000 0.000 x4
Mg 0.000 0.196 0.554 x8
Mg 0.000 0.437 0.143 x8
Hg 0.000 0.138 0.750 x4
Hg 0.000 0.384 0.565 x8
~~~
_The piece goes on_
Our Lady -
"Earthquakes in your country, the United States, extending up through Canada,
earthquakes in placed never before known to exist, or the possibility of. And
they will know it comes but from the hand of God. Famine, starvation, your crops
will rot. The heat will burn, the cattle will starve. And why? Because you
refuse to turn back, complacent in your arrogance." (5-30-81)
US - another tremendous earthquake...
Our Lady - "You cannot count your earth - years as being long any
longer. If only I could show you, the prideful and boastful United States and
Canada - if I could show you what the enemy has in store for you now, you would
grovel on your knees to make restitution to the Eternal Father. But now this
must be taught to you in a most sorrowful way.
"Your country, My child, the United States, shall know of another tremendous
earthquake. I know this grips your heart with fear, My child, but you will see
and understand." (3-18-89)
Eruptions and manifestations shall bring
terror to the hearts of many . . .
Veronica - The sky is taking on a very strange glow. The usual blue
lights are replaced now by a deep green. Now coming out of the center of the
sky, the shadowy green coloring is separating, and Michael is coming forward.
Oh! Michael has the balance in his right hand, the golden balance, and in his
left hand is a very long sword, pointed, sharply pointed on the end. Michael is
pointing the sword downwards.
Michael - "Hasten, harken, and listen to the words of warning to a
generation that has become perverse, degraded - and abominations committed to
offend your God. In justice and for penance, there will be visited upon your
earth great trials - droughts, famine, rotting crops, hurricanes, floods, all
manner of earth tremors and disturbances of nature, increasing in volume,
spreading throughout your world. There will be eruptions and manifestations
that shall bring terror to the hearts of many, in places that have never seen
nor heard of such volume of sound and fierce eruptions of the earth.
"Be ye warned that houses will blow in the wind, and skin will dry up and
blow off the bones as if it had never been. Eyes will see and still not
believe, so hardened are the hearts of mankind.
"The warnings, the numerous warnings that have been given to mankind have
gone by unnoticed, and man continues upon his road to his own destruction. Sins
of the flesh have multiplied, and many souls are falling fast into the abyss,
their eternal reward being damnation in hell." (8-21-76)
How can we protect our homes, families and loved ones from an earthquake?
We will be spared of earthquakes if we keep crucifixes on all our outside
Jesus - "Pray and wear your sacramentals. And, also, My children, I
ask you again to place a crucifix upon your door. Both front and back doors must
have a crucifix. I say this to you because there will be carnage within your
areas, and this will pass you by if you keep your crucifix upon your doors."
# Misplaced data records
No. 1
# DySi2Rh2
Computed powder diffractogram, Cu Kα. Input: the GGA-PBE geometry in the Materials Project.

Lattice parameters (Å, degrees): 4.066 4.066 9.992 90.00 90.00 90.00
Fractional positions:
Dy: 0.000 0.000 0.000
Dy: 0.500 0.500 0.500
Si: 0.000 0.000 0.378
Si: 0.000 0.000 0.622
Si: 0.500 0.500 0.122
Si: 0.500 0.500 0.878
Rh: 0.000 0.500 0.250
Rh: 0.000 0.500 0.750
Rh: 0.500 0.000 0.250
Rh: 0.500 0.000 0.750

Largest 12 diffraction maxima, by angle, 2θ = 10–80°:
2θ = 23.62°, d 3.766, I 243, (1 0 1); 2θ = 34.82°, d 2.577, I 261, (1 0 3); 2θ = 36.03°, d 2.493, I 1000, (1 1 2); 2θ = 44.57°, d 2.033, I 304, (2 0 0); 2θ = 50.91°, d 1.794, I 94, (1 0 5); 2θ = 51.05°, d 1.789, I 65, (2 1 1); 2θ = 57.76°, d 1.596, I 121, (2 1 3); 2θ = 58.53°, d 1.577, I 147, (2 0 4); 2θ = 64.68°, d 1.441, I 144, (1 1 6); 2θ = 64.86°, d 1.438, I 98, (2 2 0); 2θ = 69.94°, d 1.345, I 73, (2 1 5); 2θ = 76.48°, d 1.245, I 252, (3 1 2)


No. 2
# LuAlPt
Computed powder diffractogram, Cu Kα. Input: the GGA-PBE geometry in the Materials Project.

Lattice parameters (Å, degrees): 6.780 4.390 7.688 90.00 90.00 90.00
Fractional positions:
Lu: 0.031 0.250 0.180
Lu: 0.469 0.750 0.680
Lu: 0.531 0.250 0.320
Lu: 0.969 0.750 0.820
Al: 0.146 0.250 0.563
Al: 0.354 0.750 0.063
Al: 0.646 0.250 0.937
Al: 0.854 0.750 0.437
Pt: 0.229 0.750 0.382
Pt: 0.271 0.250 0.882
Pt: 0.729 0.750 0.118
Pt: 0.771 0.250 0.618

Largest 12 diffraction maxima, by angle, 2θ = 10–80°:
2θ = 26.66°, d 3.344, I 305, (1 0 2); 2θ = 26.83°, d 3.323, I 494, (1 1 1); 2θ = 33.69°, d 2.660, I 436, (1 1 2); 2θ = 35.44°, d 2.533, I 1000, (2 1 1); 2θ = 37.52°, d 2.397, I 139, (1 0 3); 2θ = 40.77°, d 2.213, I 222, (0 1 3); 2θ = 41.13°, d 2.195, I 344, (0 2 0); 2θ = 42.99°, d 2.104, I 195, (1 1 3); 2θ = 46.62°, d 1.948, I 207, (3 0 2); 2θ = 54.11°, d 1.695, I 134, (4 0 0); 2θ = 63.89°, d 1.457, I 163, (3 2 2); 2θ = 70.17°, d 1.341, I 177, (4 2 0)


No. 3
# ThCu6
Computed powder diffractogram, Cu Kα. Input: the GGA-PBE geometry in the Materials Project.

Lattice parameters (Å, degrees): 8.106 5.078 10.119 90.00 90.00 90.00
Fractional positions:
Th: 0.240 0.250 0.065
Th: 0.260 0.750 0.565
Th: 0.740 0.250 0.435
Th: 0.760 0.750 0.935
Cu: 0.062 0.750 0.096
Cu: 0.064 0.005 0.309
Cu: 0.064 0.495 0.309
Cu: 0.099 0.250 0.515
Cu: 0.146 0.750 0.857
Cu: 0.183 0.250 0.756
Cu: 0.317 0.750 0.256
Cu: 0.354 0.250 0.357
Cu: 0.401 0.750 0.015
Cu: 0.436 0.505 0.809
Cu: 0.436 0.995 0.809
Cu: 0.438 0.250 0.596
Cu: 0.562 0.750 0.404
Cu: 0.564 0.005 0.191
Cu: 0.564 0.495 0.191
Cu: 0.599 0.250 0.985
Cu: 0.646 0.750 0.643
Cu: 0.683 0.250 0.744
Cu: 0.817 0.750 0.244
Cu: 0.854 0.250 0.143
Cu: 0.901 0.750 0.485
Cu: 0.936 0.505 0.691
Cu: 0.936 0.995 0.691
Cu: 0.938 0.250 0.904

Largest 12 diffraction maxima, by angle, 2θ = 10–80°:
Directives from Heaven...